Silke Hansen
Senior Conciliation Specialist, Community Relations Service
Interviewed by Julian Portilla, 2003
This rough transcript provides a text alternative to audio. We apologize for occasional errors and unintelligible sections (which are marked with ???).
Q: When you go to these cases you are working for the Federal government. How do people react to that?
A: You know, it depends. It can be a pro and a con. It is not just the government it is the Justice Department. I think sometimes people have expectations that I cannot meet because they think that the Justice Department will come in and investigate the bad guys and resolve it. So I always have to be very careful in explaining what roles CRS in fact plays. I also have to be careful to explain that I am neutral, impartial and I am there as a resource to work with all of the sides, and basically describe the role of a mediator.
But in each of those cases it reaches the point where the relationship is going to be with you not the agency that you represent. Particularly in communities of color if you can't develop a trust relationship, and I don't mean trust in the technical sense in terms of Native Americans for instance, but just where they trust you, then who you are with does not really matter. It is important to find ways to develop those kinds of relationships before you can try to mediate or conciliate or resolve the conflict.
... Part of that is being realistic about expectations that they can have of me. Just because I can't come in and investigate and I can't sue anybody and I can't punish anybody, here's what I can do. Let's look at how that can be helpful to you. I begin to set realistic expectations of what they can expect from me and I can begin to carry out that role that I'm supposed to be carrying out.
(Inserted here: crystal structures)
┌──
A geometry-optimized Pu3ZrSe4 structure, computed with PBE.

Lattice parameters (Å, degrees): 7.066 7.017 8.122 90.00 90.00 109.59
Site moments in Bohr magnetons follow the coordinates.
Positions (direct):
Pu: 0.250 0.000 0.628  5.29
Pu: 0.250 0.500 0.877  5.34
Pu: 0.750 0.000 0.372  5.29
Pu: 0.750 0.500 0.123  5.34
Pu: 0.250 0.500 0.373  -5.32
Pu: 0.750 0.500 0.627  -5.32
Se: 0.998 0.238 0.118  -0.03
Se: 0.004 0.756 0.371  -0.02
Se: 0.498 0.238 0.882  -0.03
Se: 0.996 0.244 0.629  -0.02
Se: 0.504 0.756 0.629  -0.02
Se: 0.496 0.244 0.371  -0.02
Se: 0.002 0.762 0.882  -0.03
Se: 0.502 0.762 0.118  -0.03
Zr: 0.750 0.000 0.870  0.07
Zr: 0.250 0.000 0.130  0.07
└──
Part of that is not trying to pretend that I can fix all of their problems because I absolutely cannot. I explain here's a piece that I can do and here's how I think we might be able to do that. So let's talk about how that might be useful or how we can best go about that. And if that then works, and is something that is important to them or valuable to them than they will take it.
=====
Record 1
Material: Ca3HN
Method: DFT, PBE
State: optimized geometry

Cell: 6.3857 6.4377 7.0354 Å, 91.82 115.82 118.89°
Closest atoms and distances in Å follow each position.
Space group P1 (No. 1)
Inequivalent atoms, fractional coordinates:
Ca  0.0000  0.0000  0.0000 x1  1 H 2.31, 2 N 2.45-2.52
Ca  0.0407  0.8820  0.5185 x1  2 H 2.28-2.50, 2 N 2.47-2.55
Ca  0.3181  0.7434  0.0016 x1  2 N 2.38-2.44, 1 H 2.46
Ca  0.4271  0.6354  0.5128 x1  1 H 2.27, 1 N 2.47
Ca  0.6579  0.2250  0.4954 x1  1 H 2.17, 1 N 2.37
Ca  0.7677  0.4435  0.0147 x1  2 N 2.40-2.41, 1 H 2.63
H  0.5153  0.9780  0.7885 x1  5 Ca 2.46-2.71, 1 H 2.59
H  0.8323  0.0128  0.6390 x1  4 Ca 2.17-2.31
N  0.2036  0.8250  0.2721 x1  6 Ca 2.40-2.47
N  0.8543  0.6161  0.7375 x1  6 Ca 2.37-2.56

offset from the most stable computed form = 26.3 kJ/mol of formula units



Record 2
Material: SmLuZnSi
Method: DFT, PBE
State: optimized geometry

Cell: 7.0392 7.0392 7.0392 Å, 90.00 90.00 90.00°
Closest atoms and distances in Å follow each position.
Space group F-43m (No. 216)
Inequivalent atoms, fractional coordinates:
Sm  0.0000  0.0000  0.0000 x4  4 Zn 3.05, 4 Si 3.05
Lu  0.0000  0.0000  0.5000 x4  4 Si 3.05, 4 Zn 3.05
Zn  0.2500  0.2500  0.2500 x4  4 Sm 3.05, 4 Lu 3.05
Si  0.2500  0.2500  0.7500 x4  4 Sm 3.05, 4 Lu 3.05

E_form (uncorrected) = -1.727 eV/f.u.



Record 3
Material: Ag2Mo
Method: DFT, PBE
State: optimized geometry

Cell: 4.7424 13.4428 3.3179 Å, 90.00 90.00 90.00°
Closest atoms and distances in Å follow each position.
Space group Cmcm (No. 63)
Inequivalent atoms, fractional coordinates:
Ag  0.0000  0.0858  0.2500 x4  4 Ag 2.81-2.84, 6 Mo 2.91-3.12
Ag  0.0000  0.2543  0.7500 x4  6 Ag 2.81-2.90, 2 Mo 2.95
Mo  0.0000  0.4355  0.2500 x4  2 Mo 2.40

offset from the most stable computed form = 0.0 kJ/mol of formula units
formation energy from the elements = 1.2 eV per formula unit



Record 4
Material: NaAcGdLu
Method: DFT, PBE
State: optimized geometry

Cell: 8.2385 8.2385 8.2385 Å, 90.00 90.00 90.00°
Closest atoms and distances in Å follow each position.
Space group F-43m (No. 216)
Inequivalent atoms, fractional coordinates:
Na  0.0000  0.0000  0.0000 x4  4 Gd 3.57, 4 Ac 3.57
Ac  0.2500  0.2500  0.2500 x4  4 Na 3.57, 4 Lu 3.57
Gd  0.2500  0.2500  0.7500 x4  4 Lu 3.57, 4 Na 3.57
Lu  0.0000  0.0000  0.5000 x4  4 Ac 3.57, 4 Gd 3.57

formation energy from the elements = 1.0 eV per formula unit
=====
Q: How do you go into a situation that is so hostile and so oppositional as was the case with the Rodney King incident?
A: I think part of what you need to be able to do is to identify smaller pieces of the larger conflict that you can actually respond to. Since I was not from Los Angeles, it was very clear that I was just brought in for this particular case. I had no illusions about being able to fix that whole issue or that broad of a conflict. So part of what I had to do was to identify pieces of that that I could address where I could make a difference and where I could be useful to all of the parties. I think that is true of many bigger problems or many bigger conflicts. What you need to do is if I can't fix the whole thing then maybe I can at least fix something in this neighborhood or maybe I can at least get these two parties talking. Or maybe I can at least ease tensions here somewhat.